-- To do --
Return only the last part of the notes below, starting with the line that has "-0.15 -1.04".

-- Source --
/*
1.
C18H54N2O9PS8 | ωB97M-V/def2-TZVPD

ORCA input file:
```
! wB97M-V def2-TZVPD RIJCOSX def2/J DEFGRID3
* xyz 1 1
O 2.46 1.61 -0.86
P 1.78 0.21 -1.19
O 2.49 -0.78 -0.15
S 1.97 -0.35 -2.99
C 0.06 0.42 -0.56
C -0.86 0.94 -1.65
N -2.27 0.97 -1.22
C -2.52 0.70 0.20
C -1.77 -0.52 0.75
N -0.56 -0.85 -0.06
H 2.17 1.99 -0.01
H 2.13 -1.67 -0.19
H 0.09 1.13 0.28
H -0.50 1.90 -2.03
H -0.77 0.26 -2.49
H -2.65 1.88 -1.43
H -2.27 1.57 0.83
H -3.58 0.52 0.35
H -1.44 -0.32 1.77
H -2.38 -1.42 0.80
H 0.08 -1.46 0.47
H -0.87 -1.33 -0.91
C 4.23 0.77 3.11
S 3.90 2.52 2.89
O 2.44 2.61 2.56
C 4.78 2.69 1.34
H 3.74 0.43 4.02
H 3.81 0.25 2.24
H 5.30 0.59 3.17
H 4.37 1.99 0.61
H 5.84 2.50 1.50
H 4.64 3.71 1.00
C -0.30 -1.92 4.79
S 1.00 -1.50 3.64
O 0.71 -2.23 2.34
C 2.30 -2.39 4.48
H -1.24 -1.50 4.43
H -0.40 -3.01 4.85
H -0.06 -1.51 5.76
H 2.03 -3.44 4.57
H 2.44 -1.94 5.46
H 3.21 -2.31 3.89
C 3.48 -5.43 0.77
S 2.97 -5.69 2.47
O 3.67 -4.66 3.29
C 3.85 -7.23 2.71
H 3.06 -4.47 0.45
H 4.57 -5.39 0.72
H 3.09 -6.23 0.14
H 4.91 -7.07 2.52
H 3.45 -7.99 2.03
H 3.70 -7.54 3.74
C -1.77 0.75 -7.12
S -2.11 0.30 -5.42
O -1.34 1.26 -4.56
C -1.19 -1.24 -5.43
H -2.22 1.72 -7.30
H -0.69 0.80 -7.27
H -2.21 0.00 -7.78
H -0.15 -1.04 -5.70
H -1.65 -1.92 -6.14
H -1.25 -1.67 -4.43
C -4.36 -0.64 8.43
S -3.33 -0.53 6.97
O -3.01 -1.92 6.54
C -1.88 0.10 7.82
H -5.32 -1.06 8.13
H -3.89 -1.29 9.16
H -4.51 0.36 8.84
H -1.59 -0.60 8.60
H -2.11 1.08 8.25
H -1.09 0.21 7.09
C -4.65 3.64 -4.79
S -5.21 2.04 -4.19
O -5.34 1.16 -5.37
C -6.87 2.57 -3.74
H -3.64 3.51 -5.16
H -5.31 3.97 -5.60
H -4.66 4.36 -3.98
H -7.37 2.97 -4.63
H -6.82 3.32 -2.96
H -7.41 1.69 -3.38
C 3.23 2.95 -4.33
S 2.42 3.15 -5.93
O 3.31 4.01 -6.75
C 1.07 4.18 -5.34
H 4.12 2.35 -4.49
H 3.50 3.92 -3.93
H 2.55 2.42 -3.66
H 1.48 5.07 -4.87
H 0.47 3.60 -4.64
H 0.47 4.45 -6.20
*
```

Summary:
Orbital gap, eV: 7.821
Largest force on an atom, eV/A: 0.9
HOMO energy, eV: -10.179
LUMO level, eV: -2.36
DFT total energy, eV: -136911.3842

Here are the Mulliken charges for atoms 1 to 6, given in e: O -0.4880; P 0.7821; O -0.3108; S -0.3190; C -0.1301; C -1.2067

***

2.
H18O9 | ωB97M-V/def2-TZVPD

ORCA input file:
```
! wB97M-V def2-TZVPD RIJCOSX def2/J DEFGRID3
* xyz 0 1
H 0.53 0.53 0.26
H 1.84 0.37 -0.50
H 0.47 1.51 3.30
H 1.30 1.30 2.05
H -0.97 -1.59 0.90
H -1.66 -0.45 0.15
H 1.87 -2.08 0.08
H 1.56 -3.34 0.88
H 3.19 3.18 -1.02
H 3.97 4.41 -1.46
H -4.44 -1.39 -1.79
H -3.66 -0.85 -0.60
H 4.84 -2.42 -1.88
H 3.48 -2.00 -1.34
H -3.32 1.84 -1.46
H -4.20 2.95 -2.01
H -3.49 -1.05 2.01
H -2.27 -1.80 2.52
O 1.28 1.03 -0.08
O 1.15 1.93 2.76
O -0.81 -0.92 0.22
O 2.01 -3.04 0.08
O 3.81 3.85 -0.69
O -4.49 -0.75 -1.07
O 4.04 -2.77 -1.48
O -4.23 2.14 -1.49
O -2.62 -1.37 1.74
*
```

Summary:
Orbital gap, eV: 10.751
Structure (SMILES): O.O.O.O.O.O.O.O.O
Largest force on an atom, eV/A: 1.4
HOMO energy, eV: -11.163
LUMO level, eV: -0.41
DFT total energy, eV: -18718.5417
Energy relative to the best compared isomer or geometry (same formula, charge and spin), eV: 3.5938

Here are the Mulliken charges for atoms 1 to 6, given in e: H 0.3606; H 0.3042; H 0.3077; H 0.3309; H 0.3912; H 0.2555

***

3.
C26H17F5MnN2O6P | ωB97M-V/def2-TZVPD

ORCA input file:
```
! wB97M-V def2-TZVPD RIJCOSX def2/J DEFGRID3
* xyz 1 4
Mn 0.33 1.57 0.37
C -2.04 1.94 -3.09
C -2.43 1.86 -1.63
N -1.71 1.74 -0.53
C -2.55 1.63 0.55
C -3.85 1.67 0.09
N -3.72 1.87 -1.27
C -5.16 1.48 0.76
O -5.08 1.25 2.01
O -6.17 1.73 0.17
C -2.02 1.27 1.93
O -2.70 0.91 2.89
O -0.72 1.34 2.09
H -2.11 0.96 -3.52
H -0.97 2.18 -3.10
H -2.62 2.62 -3.69
H -4.45 1.79 -1.93
H -4.10 1.00 2.39
O 2.65 0.88 -2.29
C 2.42 -0.07 -1.59
O 1.31 -0.17 -0.49
C 2.89 -1.56 -1.50
P 1.47 -2.00 -0.44
C 1.57 -2.47 1.23
C 2.32 -1.71 2.23
C 2.48 -2.22 3.51
C 1.88 -3.43 3.89
C 1.09 -4.14 2.99
C 0.94 -3.68 1.64
C 0.07 -2.76 -1.17
C -1.25 -2.42 -0.75
C -2.33 -3.12 -1.23
C -2.13 -4.01 -2.31
C -0.89 -4.17 -2.91
C 0.26 -3.63 -2.31
H 3.87 -1.65 -0.93
H 2.95 -2.00 -2.51
H 2.47 -0.60 1.98
H 3.09 -1.61 4.15
H 2.11 -3.84 4.87
*/

-- Worked solution --
H -0.15 -1.04 -5.70
H -1.65 -1.92 -6.14
H -1.25 -1.67 -4.43
C -4.36 -0.64 8.43
S -3.33 -0.53 6.97
O -3.01 -1.92 6.54
C -1.88 0.10 7.82
H -5.32 -1.06 8.13
H -3.89 -1.29 9.16
H -4.51 0.36 8.84
H -1.59 -0.60 8.60
H -2.11 1.08 8.25
H -1.09 0.21 7.09
C -4.65 3.64 -4.79
S -5.21 2.04 -4.19
O -5.34 1.16 -5.37
C -6.87 2.57 -3.74
H -3.64 3.51 -5.16
H -5.31 3.97 -5.60
H -4.66 4.36 -3.98
H -7.37 2.97 -4.63
H -6.82 3.32 -2.96
H -7.41 1.69 -3.38
C 3.23 2.95 -4.33
S 2.42 3.15 -5.93
O 3.31 4.01 -6.75
C 1.07 4.18 -5.34
H 4.12 2.35 -4.49
H 3.50 3.92 -3.93
H 2.55 2.42 -3.66
H 1.48 5.07 -4.87
H 0.47 3.60 -4.64
H 0.47 4.45 -6.20
*
```

Summary:
Orbital gap, eV: 7.821
Largest force on an atom, eV/A: 0.9
HOMO energy, eV: -10.179
LUMO level, eV: -2.36
DFT total energy, eV: -136911.3842

Here are the Mulliken charges for atoms 1 to 6, given in e: O -0.4880; P 0.7821; O -0.3108; S -0.3190; C -0.1301; C -1.2067

***

2.
H18O9 | ωB97M-V/def2-TZVPD

ORCA input file:
```
! wB97M-V def2-TZVPD RIJCOSX def2/J DEFGRID3
* xyz 0 1
H 0.53 0.53 0.26
H 1.84 0.37 -0.50
H 0.47 1.51 3.30
H 1.30 1.30 2.05
H -0.97 -1.59 0.90
H -1.66 -0.45 0.15
H 1.87 -2.08 0.08
H 1.56 -3.34 0.88
H 3.19 3.18 -1.02
H 3.97 4.41 -1.46
H -4.44 -1.39 -1.79
H -3.66 -0.85 -0.60
H 4.84 -2.42 -1.88
H 3.48 -2.00 -1.34
H -3.32 1.84 -1.46
H -4.20 2.95 -2.01
H -3.49 -1.05 2.01
H -2.27 -1.80 2.52
O 1.28 1.03 -0.08
O 1.15 1.93 2.76
O -0.81 -0.92 0.22
O 2.01 -3.04 0.08
O 3.81 3.85 -0.69
O -4.49 -0.75 -1.07
O 4.04 -2.77 -1.48
O -4.23 2.14 -1.49
O -2.62 -1.37 1.74
*
```

Summary:
Orbital gap, eV: 10.751
Structure (SMILES): O.O.O.O.O.O.O.O.O
Largest force on an atom, eV/A: 1.4
HOMO energy, eV: -11.163
LUMO level, eV: -0.41
DFT total energy, eV: -18718.5417
Energy relative to the best compared isomer or geometry (same formula, charge and spin), eV: 3.5938

Here are the Mulliken charges for atoms 1 to 6, given in e: H 0.3606; H 0.3042; H 0.3077; H 0.3309; H 0.3912; H 0.2555

***

3.
C26H17F5MnN2O6P | ωB97M-V/def2-TZVPD

ORCA input file:
```
! wB97M-V def2-TZVPD RIJCOSX def2/J DEFGRID3
* xyz 1 4
Mn 0.33 1.57 0.37
C -2.04 1.94 -3.09
C -2.43 1.86 -1.63
N -1.71 1.74 -0.53
C -2.55 1.63 0.55
C -3.85 1.67 0.09
N -3.72 1.87 -1.27
C -5.16 1.48 0.76
O -5.08 1.25 2.01
O -6.17 1.73 0.17
C -2.02 1.27 1.93
O -2.70 0.91 2.89
O -0.72 1.34 2.09
H -2.11 0.96 -3.52
H -0.97 2.18 -3.10
H -2.62 2.62 -3.69
H -4.45 1.79 -1.93
H -4.10 1.00 2.39
O 2.65 0.88 -2.29
C 2.42 -0.07 -1.59
O 1.31 -0.17 -0.49
C 2.89 -1.56 -1.50
P 1.47 -2.00 -0.44
C 1.57 -2.47 1.23
C 2.32 -1.71 2.23
C 2.48 -2.22 3.51
C 1.88 -3.43 3.89
C 1.09 -4.14 2.99
C 0.94 -3.68 1.64
C 0.07 -2.76 -1.17
C -1.25 -2.42 -0.75
C -2.33 -3.12 -1.23
C -2.13 -4.01 -2.31
C -0.89 -4.17 -2.91
C 0.26 -3.63 -2.31
H 3.87 -1.65 -0.93
H 2.95 -2.00 -2.51
H 2.47 -0.60 1.98
H 3.09 -1.61 4.15
H 2.11 -3.84 4.87